The reader should restate the lines below up to the one that holds "form in", that line included.

........
(1)
Crystalline HgH2Pt at its relaxed geometry. Source: the Alexandria database, functional PBE-GGA.

```
HgH2Pt
1.0
2.489 -1.573 0.000
2.489 1.573 0.000
-0.266 0.000 6.575
Hg H Pt
1 2 1
Direct
0.000 0.000 0.000
0.338 0.338 0.610
0.649 0.649 0.390
0.994 0.994 0.500
```

Output
- Fermi-level density of states (states/eV/atom) = 0.212
- total DFT energy (no corrections) (eV/atom) = -3.1489
- offset from the most stable computed form (kJ/mol of atoms) = 9.6

---

(2)
Crystalline Tb2DySb at its relaxed geometry. Source: the Alexandria database, functional PBE-GGA.

```
Tb2DySb
1.0
2.002 1.156 9.486
-2.002 1.156 9.486
0.000 -2.312 9.486
Tb Dy Sb
2 1 1
Direct
0.000 0.000 0.000
0.197 0.197 0.197
0.765 0.765 0.765
0.599 0.599 0.599
```

Output
- Fermi-level density of states (states/eV/atom) = 1.014
- raw formation energy (meV per atom) = -331
- total DFT energy (no corrections) (eV/atom) = -4.8274
- offset from the most stable computed form (kJ/mol of atoms) = 21.4

---

(3)
Crystalline Li2SbPb at its relaxed geometry. Source: the Alexandria database, functional PBE-GGA.

```
Li2SbPb
1.0
2.273 -2.319 0.000
2.273 2.319 0.000
0.000 0.000 8.526
Li Sb Pb
2 1 1
Direct
0.000 0.000 0.234
0.000 0.000 0.766
0.500 0.500 0.000
0.500 0.500 0.500
```

Output
- Fermi-level density of states (states/eV/atom) = 0.279
- raw formation energy (meV per atom) = -333
- total DFT energy (no corrections) (eV/atom) = -3.2473
- offset from the most stable computed form (kJ/mol of atoms) = 3.5

---

(4)
Crystalline Nd2PaCr2C4 at its relaxed geometry. Source: the Alexandria database, functional PBE-GGA.

```
Nd2PaCr2C4
1.0
6.633 -1.750 0.000
6.633 1.750 0.000
-2.064 0.000 5.794
Nd Pa Cr C
2 1 2 4
Direct
0.135 0.135 0.042
0.865 0.865 0.958
0.000 0.000 0.500
0.316 0.316 0.507
0.684 0.684 0.493
0.213 0.213 0.673
0.456 0.456 0.731
0.544 0.544 0.269
0.787 0.787 0.327
```

Output
- Fermi-level density of states (states/eV/atom) = 0.720
- total DFT energy (no corrections) (eV/atom) = -8.4386
- formation energy from the elements (kJ/mol of formula units) = -75

---

(5)
Crystalline Ta3Au5 at its relaxed geometry. Source: the Alexandria database, functional PBE-GGA.

```
Ta3Au5
1.0
4.152 -4.258 0.000
4.152 4.258 0.000
0.000 0.000 4.055
Ta Au
3 5
Direct
0.000 0.000 0.000
0.235 0.765 0.500
0.765 0.235 0.500
0.000 0.500 0.000
0.250 0.250 0.500
0.500 0.000 0.000
0.500 0.500 0.000
0.750 0.750 0.500
```

Output
- Fermi-level density of states (states/eV/atom) = 0.922
- total DFT energy (no corrections) (eV/atom) = -6.4124
- offset from the most stable computed form (kJ/mol of atoms) = 4.3
- formation energy from the elements (kJ/mol of formula units) = 62

---

(6)
Crystalline Er2TmCd3 at its relaxed geometry. Source: the Alexandria database, functional PBE-GGA.

```
Er2TmCd3
1.0
3.711 0.000 0.000
0.000 3.711 0.000
0.000 0.000 11.103
Er Tm Cd
2 1 3
Direct
0.000 0.000 0.167
0.000 0.000 0.833
0.000 0.000 0.500
0.500 0.500 0.000
0.500 0.500 0.335
0.500 0.500 0.665
```

Output
- Fermi-level density of states (states/eV/atom) = 0.828
- total DFT energy (no corrections) (eV/atom) = -3.0386
- formation energy from the elements (kJ/mol of formula units) = -182

---

Which of these has the highest Fermi-level density of states?
Tb2DySb

---

Look up the Fermi-level density of states of the fourth one.
0.720 states/eV/atom

=====

# TbCuPd6 (GGA-PBE, relaxed)
data_TbCuPd6
_chemical_formula_sum 'Tb3 Cu3 Pd18'
_space_group_name_H-M_alt 'R -3 m'
_space_group_IT_number 166
_space_group_name_Hall '-R 3 2"'
_cell_length_a 5.4332
_cell_length_b 5.4332
_cell_length_c 19.5439
_cell_angle_alpha 90.00
_cell_angle_beta 90.00
_cell_angle_gamma 120.00
loop_
_atom_site_label
_atom_site_fract_x
_atom_site_fract_y
_atom_site_fract_z
Tb1 0.0000 0.0000 0.0000
Cu1 0.0000 0.0000 0.5000
Pd1 0.0050 0.5025 0.9317
# Offset from the most stable computed form in kJ/mol of formula units: 313
# Crystal system: trigonal
# Magnetization in μB per atom: 0.0000
# Formation energy from the elements in eV/f.u.: -0.17
........

(1)
Crystalline HgH2Pt at its relaxed geometry. Source: the Alexandria database, functional PBE-GGA.

```
HgH2Pt
1.0
2.489 -1.573 0.000
2.489 1.573 0.000
-0.266 0.000 6.575
Hg H Pt
1 2 1
Direct
0.000 0.000 0.000
0.338 0.338 0.610
0.649 0.649 0.390
0.994 0.994 0.500
```

Output
- Fermi-level density of states (states/eV/atom) = 0.212
- total DFT energy (no corrections) (eV/atom) = -3.1489
- offset from the most stable computed form (kJ/mol of atoms) = 9.6

---

(2)
Crystalline Tb2DySb at its relaxed geometry. Source: the Alexandria database, functional PBE-GGA.

```
Tb2DySb
1.0
2.002 1.156 9.486
-2.002 1.156 9.486
0.000 -2.312 9.486
Tb Dy Sb
2 1 1
Direct
0.000 0.000 0.000
0.197 0.197 0.197
0.765 0.765 0.765
0.599 0.599 0.599
```

Output
- Fermi-level density of states (states/eV/atom) = 1.014
- raw formation energy (meV per atom) = -331
- total DFT energy (no corrections) (eV/atom) = -4.8274
- offset from the most stable computed form (kJ/mol of atoms) = 21.4

---

(3)
Crystalline Li2SbPb at its relaxed geometry. Source: the Alexandria database, functional PBE-GGA.

```
Li2SbPb
1.0
2.273 -2.319 0.000
2.273 2.319 0.000
0.000 0.000 8.526
Li Sb Pb
2 1 1
Direct
0.000 0.000 0.234
0.000 0.000 0.766
0.500 0.500 0.000
0.500 0.500 0.500
```

Output
- Fermi-level density of states (states/eV/atom) = 0.279
- raw formation energy (meV per atom) = -333
- total DFT energy (no corrections) (eV/atom) = -3.2473
- offset from the most stable computed form (kJ/mol of atoms) = 3.5

---

(4)
Crystalline Nd2PaCr2C4 at its relaxed geometry. Source: the Alexandria database, functional PBE-GGA.

```
Nd2PaCr2C4
1.0
6.633 -1.750 0.000
6.633 1.750 0.000
-2.064 0.000 5.794
Nd Pa Cr C
2 1 2 4
Direct
0.135 0.135 0.042
0.865 0.865 0.958
0.000 0.000 0.500
0.316 0.316 0.507
0.684 0.684 0.493
0.213 0.213 0.673
0.456 0.456 0.731
0.544 0.544 0.269
0.787 0.787 0.327
```

Output
- Fermi-level density of states (states/eV/atom) = 0.720
- total DFT energy (no corrections) (eV/atom) = -8.4386
- formation energy from the elements (kJ/mol of formula units) = -75

---

(5)
Crystalline Ta3Au5 at its relaxed geometry. Source: the Alexandria database, functional PBE-GGA.

```
Ta3Au5
1.0
4.152 -4.258 0.000
4.152 4.258 0.000
0.000 0.000 4.055
Ta Au
3 5
Direct
0.000 0.000 0.000
0.235 0.765 0.500
0.765 0.235 0.500
0.000 0.500 0.000
0.250 0.250 0.500
0.500 0.000 0.000
0.500 0.500 0.000
0.750 0.750 0.500
```

Output
- Fermi-level density of states (states/eV/atom) = 0.922
- total DFT energy (no corrections) (eV/atom) = -6.4124
- offset from the most stable computed form (kJ/mol of atoms) = 4.3
- formation energy from the elements (kJ/mol of formula units) = 62

---

(6)
Crystalline Er2TmCd3 at its relaxed geometry. Source: the Alexandria database, functional PBE-GGA.

```
Er2TmCd3
1.0
3.711 0.000 0.000
0.000 3.711 0.000
0.000 0.000 11.103
Er Tm Cd
2 1 3
Direct
0.000 0.000 0.167
0.000 0.000 0.833
0.000 0.000 0.500
0.500 0.500 0.000
0.500 0.500 0.335
0.500 0.500 0.665
```

Output
- Fermi-level density of states (states/eV/atom) = 0.828
- total DFT energy (no corrections) (eV/atom) = -3.0386
- formation energy from the elements (kJ/mol of formula units) = -182

---

Which of these has the highest Fermi-level density of states?
Tb2DySb

---

Look up the Fermi-level density of states of the fourth one.
0.720 states/eV/atom

=====

# TbCuPd6 (GGA-PBE, relaxed)
data_TbCuPd6
_chemical_formula_sum 'Tb3 Cu3 Pd18'
_space_group_name_H-M_alt 'R -3 m'
_space_group_IT_number 166
_space_group_name_Hall '-R 3 2"'
_cell_length_a 5.4332
_cell_length_b 5.4332
_cell_length_c 19.5439
_cell_angle_alpha 90.00
_cell_angle_beta 90.00
_cell_angle_gamma 120.00
loop_
_atom_site_label
_atom_site_fract_x
_atom_site_fract_y
_atom_site_fract_z
Tb1 0.0000 0.0000 0.0000
Cu1 0.0000 0.0000 0.5000
Pd1 0.0050 0.5025 0.9317
# Offset from the most stable computed form in kJ/mol of formula units: 313